/*
Entry 1:
Here is crystalline Ta2Nb2Au at its relaxed geometry from the Alexandria database. Energies are from PBE.

Symmetry: P4/mbm
Crystal system: tetragonal
Energy of formation from the pure elements, eV/atom: 0.3093
Fermi-level density of states, states/eV per atom: 0.68
Uncorrected energy, eV for the cell shown: -91.2
Total moment, μB/cell: 0.00

a b c (Å): 7.2218 7.2218 3.6612
angles (deg): 90.00 90.00 90.00
Last column: nearest neighbours and their distance in Å.
Positions (direct):
1 Ta 0.1304 0.3696 0.0000  1 Ta 2.66, 6 Nb 2.74-2.85, 2 Au 2.83
2 Nb 0.3298 0.1702 0.5000  6 Ta 2.74-2.85
3 Nb 0.8298 0.3298 0.5000  6 Ta 2.74-2.85
4 Nb 0.1702 0.6702 0.5000  6 Ta 2.74-2.85
5 Nb 0.6702 0.8298 0.5000  6 Ta 2.74-2.85
6 Ta 0.8696 0.6304 0.0000  1 Ta 2.66, 6 Nb 2.74-2.85, 2 Au 2.83
7 Au 0.0000 0.0000 0.0000  4 Ta 2.83
8 Ta 0.6304 0.1304 0.0000  1 Ta 2.66, 6 Nb 2.74-2.85, 2 Au 2.83
9 Ta 0.3696 0.8696 0.0000  1 Ta 2.66, 6 Nb 2.74-2.85, 2 Au 2.83
10 Au 0.5000 0.5000 0.0000  4 Ta 2.83

Entry 2:
Here is crystalline Ta3Nb3Au at its relaxed geometry from the Alexandria database. Energies are from PBE.

Symmetry: P-1
Crystal system: triclinic
Energy of formation from the pure elements, eV/atom: -0.0359
Fermi-level density of states, states/eV per atom: 0.94
Uncorrected energy, eV for the cell shown: -138.6
Total moment, μB/cell: 0.00

a b c (Å): 5.7515 7.1648 7.4034
angles (deg): 59.32 74.65 82.86
Last column: nearest neighbours and their distance in Å.
Positions (direct):
1 Nb 0.6807 0.2131 0.8603  4 Ta 2.80-2.82, 3 Nb 2.85-2.89, 1 Au 2.90
2 Nb 0.1086 0.9281 0.7137  6 Ta 2.81-2.95, 2 Nb 2.83-2.89
3 Au 0.5421 0.6496 0.5745  5 Ta 2.84-2.93, 2 Nb 2.90, 1 Au 3.00
4 Nb 0.1774 0.2156 0.8617  5 Nb 2.83-2.89, 2 Ta 2.85-2.87, 1 Au 2.90
5 Ta 0.2416 0.5048 0.0027  4 Ta 2.80-2.95, 3 Nb 2.81-2.85, 1 Au 2.88
6 Ta 0.3826 0.0755 0.2742  5 Nb 2.80-2.95, 2 Au 2.84-2.93, 1 Ta 2.85
7 Au 0.4579 0.3504 0.4255  5 Ta 2.84-2.93, 2 Nb 2.90, 1 Au 3.00
8 Ta 0.9518 0.3546 0.4337  4 Nb 2.82-2.88, 2 Au 2.86-2.89, 2 Ta 2.87-2.88
9 Ta 0.0482 0.6454 0.5663  4 Nb 2.82-2.88, 2 Au 2.86-2.89, 2 Ta 2.87-2.88
10 Ta 0.7584 0.4952 0.9973  4 Ta 2.80-2.95, 3 Nb 2.81-2.85, 1 Au 2.88
11 Ta 0.6174 0.9245 0.7258  5 Nb 2.80-2.95, 2 Au 2.84-2.93, 1 Ta 2.85
12 Nb 0.8226 0.7844 0.1383  5 Nb 2.83-2.89, 2 Ta 2.85-2.87, 1 Au 2.90
13 Nb 0.8914 0.0719 0.2863  6 Ta 2.81-2.95, 2 Nb 2.83-2.89
14 Nb 0.3193 0.7869 0.1397  4 Ta 2.80-2.82, 3 Nb 2.85-2.89, 1 Au 2.90

Entry 3:
Here is crystalline Ta4Nb3Au at its relaxed geometry from the Alexandria database. Energies are from PBE.

Symmetry: Pmmm
Crystal system: orthorhombic
Energy of formation from the pure elements, eV/atom: -0.0328
Fermi-level density of states, states/eV per atom: 1.04
Uncorrected energy, eV for the cell shown: -81.2
Total moment, μB/cell: 0.00

a b c (Å): 3.3862 4.6956 9.1039
angles (deg): 90.00 90.00 90.00
Last column: nearest neighbours and their distance in Å.
Positions (direct):
1 Ta 0.0000 0.5000 0.7456  6 Nb 2.80-2.90, 2 Au 2.87
2 Nb 0.5000 0.5000 0.5000  8 Ta 2.80-2.89
3 Au 0.5000 0.5000 0.0000  8 Ta 2.87-2.89
4 Nb 0.5000 0.0000 0.7544  8 Ta 2.80-2.90
5 Ta 0.0000 0.5000 0.2544  6 Nb 2.80-2.90, 2 Au 2.87
6 Ta 0.0000 0.0000 0.0000  4 Nb 2.80, 4 Au 2.89
7 Nb 0.5000 0.0000 0.2456  8 Ta 2.80-2.90
8 Ta 0.0000 0.0000 0.5000  8 Nb 2.87-2.89

----------

Entry 1:
Material: P2AuCl
Method: DFT, PBE
State: optimized geometry

a b c (Å): 4.607 4.607 4.607
angles (deg): 60.00 60.00 60.00
Element x y z (fractional)
1 P 0.000 0.000 0.000
2 P 0.250 0.250 0.250
3 Au 0.500 0.500 0.500
4 Cl 0.750 0.750 0.750

## Properties
Calculated total energy = -13.1 eV/f.u.
Raw formation energy = 2.9 eV per formula unit

Entry 2:
Material: Cs2BaZrS4
Method: DFT, PBE
State: optimized geometry

a b c (Å): 8.976 8.976 8.976
angles (deg): 124.63 116.15 89.49
Element x y z (fractional)
1 Cs 0.000 0.000 0.000
2 Cs 0.500 0.000 0.000
3 Cs 0.500 0.000 0.500
4 Cs 0.500 0.500 0.500
5 Ba 0.000 0.500 0.500
6 Ba 0.500 0.500 0.000
7 Zr 0.000 0.000 0.500
*/

Could you say how many lines of the block further up hold the word "Symmetry", as a bare number?

3